### File
'''
Compound: BaTiO3
Source: Materials Project
Functional: r2SCAN
Structure: relaxed

It has space group R3m (No. 160, hexagonal axes), with a = 5.6965 Å, b = 5.6965 Å, c = 7.0067 Å, α = 90.00°, β = 90.00° and γ = 120.00°. The inequivalent atoms are Ba at (0.0000, 0.0000, 0.0000), Ti at (0.0000, 0.0000, 0.5132) and O at (0.1697, 0.3395, 0.3191).

Its energy of formation from the pure elements is -3.37 eV/atom.

=====

Compound: U3Al3CoRu2
Source: Materials Project
Functional: r2SCAN
Structure: relaxed

It has space group P-62m (No. 189), with a = 6.8032 Å, b = 6.8032 Å, c = 4.0193 Å, α = 90.00°, β = 90.00° and γ = 120.00°. The inequivalent atoms are U at (0.0000, 0.4200, 0.0000), Al at (0.0000, 0.7723, 0.5000), Co at (0.0000, 0.0000, 0.0000) and Ru at (0.3333, 0.6667, 0.5000).

Its energy of formation from the pure elements is -0.44 eV/atom.

=====

Compound: FeOF
Source: Materials Project
Functional: r2SCAN
Structure: relaxed

It has space group Pnma (No. 62), with a = 9.561 Å, b = 3.008 Å, c = 4.908 Å, α = 90.00°, β = 90.00° and γ = 90.00°. The inequivalent atoms are Fe at (0.157, 0.250, 0.026), O at (0.228, 0.750, 0.828) and F at (0.031, 0.750, 0.197).

Its energy of formation from the pure elements is -2.09 eV/atom.

=====

Compound: Cs2Ni3S4
Source: Materials Project
Functional: r2SCAN
Structure: relaxed

It has space group P6_3/mmc (No. 194), with a = 5.8491 Å, b = 5.8491 Å, c = 15.2169 Å, α = 90.00°, β = 90.00° and γ = 120.00°. The inequivalent atoms are Cs at (0.3333, 0.6667, 0.0891), Ni at (0.1664, 0.3329, 0.7500), S at (0.0000, 0.0000, 0.1569) and S at (0.3333, 0.6667, 0.6567).

Its energy of formation from the pure elements is -0.88 eV/atom.

=====

Compound: BaAg2Sn2
Source: Materials Project
Functional: r2SCAN
Structure: relaxed

It has space group I4/mmm (No. 139), with a = 4.854 Å, b = 4.854 Å, c = 11.523 Å, α = 90.00°, β = 90.00° and γ = 90.00°. The inequivalent atoms are Ba at (0.000, 0.000, 0.000), Ag at (0.000, 0.500, 0.250) and Sn at (0.000, 0.000, 0.375).

Its energy of formation from the pure elements is -0.41 eV/atom.

=====

Compound: HoGa3
Source: Materials Project
Functional: r2SCAN
Structure: relaxed

It has space group P6_3/mmc (No. 194), with a = 6.0976 Å, b = 6.0976 Å, c = 13.9705 Å, α = 90.00°, β = 90.00° and γ = 120.00°. The inequivalent atoms are Ho at (0.0000, 0.0000, 0.2500), Ho at (0.3333, 0.6667, 0.0935), Ga at (0.0471, 0.5235, 0.7500) and Ga at (0.1685, 0.3370, 0.5813).

Its energy of formation from the pure elements is -0.55 eV/atom.

=====

1.
VASP calculation (PBE) on an optimized crystal structure of Gd2S3.

```
Gd2S3
1.0
10.769 0.000 0.000
0.000 3.924 0.000
0.000 0.000 10.559
Gd S
8 12
direct
0.009 0.250 0.186
0.191 0.250 0.505
0.309 0.750 0.005
0.491 0.750 0.686
0.509 0.250 0.314
0.691 0.250 0.995
0.809 0.750 0.495
0.991 0.750 0.814
0.047 0.750 0.373
0.120 0.250 0.944
0.228 0.750 0.697
0.272 0.250 0.197
0.380 0.750 0.444
0.453 0.250 0.873
0.547 0.750 0.127
0.620 0.250 0.556
0.728 0.750 0.803
0.772 0.250 0.303
0.880 0.750 0.056
0.953 0.250 0.627
```

## Properties
volume: 111.5 Å³/f.u.
ΔH_f (0 K): -2.381 eV per atom

***

2.
VASP calculation (PBE) on an optimized crystal structure of Gd2S3.

```
Gd2S3
1.0
-4.207 4.207 12.604
4.207 -4.207 12.604
4.207 4.207 -12.604
Gd S
16 24
direct
0.048 0.151 0.621
0.166 0.166 0.000
0.177 0.780 0.879
0.220 0.099 0.397
0.256 0.625 0.131
0.375 0.506 0.631
0.494 0.125 0.869
0.530 0.427 0.379
0.573 0.952 0.103
0.584 0.084 0.500
0.702 0.823 0.603
0.834 0.834 0.000
0.849 0.470 0.897
0.875 0.744 0.369
0.901 0.298 0.121
0.916 0.416 0.500
0.002 0.756 0.890
0.074 0.462 0.246
0.172 0.926 0.388
0.188 0.439 0.093
0.189 0.438 0.593
0.212 0.324 0.746
0.216 0.828 0.754
0.244 0.134 0.247
0.346 0.095 0.907
0.404 0.811 0.249
0.506 0.252 0.390
0.534 0.788 0.112
0.538 0.784 0.612
0.561 0.654 0.749
0.562 0.155 0.751
0.578 0.466 0.254
0.676 0.422 0.888
0.748 0.138 0.253
0.845 0.596 0.407
0.862 0.116 0.610
0.866 0.112 0.110
0.884 0.494 0.747
0.888 0.998 0.753
0.905 0.812 0.251
'''
### Assignment
The reader should duplicate the whole of the entries earlier on without additions.
### Done
Compound: BaTiO3
Source: Materials Project
Functional: r2SCAN
Structure: relaxed

It has space group R3m (No. 160, hexagonal axes), with a = 5.6965 Å, b = 5.6965 Å, c = 7.0067 Å, α = 90.00°, β = 90.00° and γ = 120.00°. The inequivalent atoms are Ba at (0.0000, 0.0000, 0.0000), Ti at (0.0000, 0.0000, 0.5132) and O at (0.1697, 0.3395, 0.3191).

Its energy of formation from the pure elements is -3.37 eV/atom.

=====

Compound: U3Al3CoRu2
Source: Materials Project
Functional: r2SCAN
Structure: relaxed

It has space group P-62m (No. 189), with a = 6.8032 Å, b = 6.8032 Å, c = 4.0193 Å, α = 90.00°, β = 90.00° and γ = 120.00°. The inequivalent atoms are U at (0.0000, 0.4200, 0.0000), Al at (0.0000, 0.7723, 0.5000), Co at (0.0000, 0.0000, 0.0000) and Ru at (0.3333, 0.6667, 0.5000).

Its energy of formation from the pure elements is -0.44 eV/atom.

=====

Compound: FeOF
Source: Materials Project
Functional: r2SCAN
Structure: relaxed

It has space group Pnma (No. 62), with a = 9.561 Å, b = 3.008 Å, c = 4.908 Å, α = 90.00°, β = 90.00° and γ = 90.00°. The inequivalent atoms are Fe at (0.157, 0.250, 0.026), O at (0.228, 0.750, 0.828) and F at (0.031, 0.750, 0.197).

Its energy of formation from the pure elements is -2.09 eV/atom.

=====

Compound: Cs2Ni3S4
Source: Materials Project
Functional: r2SCAN
Structure: relaxed

It has space group P6_3/mmc (No. 194), with a = 5.8491 Å, b = 5.8491 Å, c = 15.2169 Å, α = 90.00°, β = 90.00° and γ = 120.00°. The inequivalent atoms are Cs at (0.3333, 0.6667, 0.0891), Ni at (0.1664, 0.3329, 0.7500), S at (0.0000, 0.0000, 0.1569) and S at (0.3333, 0.6667, 0.6567).

Its energy of formation from the pure elements is -0.88 eV/atom.

=====

Compound: BaAg2Sn2
Source: Materials Project
Functional: r2SCAN
Structure: relaxed

It has space group I4/mmm (No. 139), with a = 4.854 Å, b = 4.854 Å, c = 11.523 Å, α = 90.00°, β = 90.00° and γ = 90.00°. The inequivalent atoms are Ba at (0.000, 0.000, 0.000), Ag at (0.000, 0.500, 0.250) and Sn at (0.000, 0.000, 0.375).

Its energy of formation from the pure elements is -0.41 eV/atom.

=====

Compound: HoGa3
Source: Materials Project
Functional: r2SCAN
Structure: relaxed

It has space group P6_3/mmc (No. 194), with a = 6.0976 Å, b = 6.0976 Å, c = 13.9705 Å, α = 90.00°, β = 90.00° and γ = 120.00°. The inequivalent atoms are Ho at (0.0000, 0.0000, 0.2500), Ho at (0.3333, 0.6667, 0.0935), Ga at (0.0471, 0.5235, 0.7500) and Ga at (0.1685, 0.3370, 0.5813).

Its energy of formation from the pure elements is -0.55 eV/atom.

=====

1.
VASP calculation (PBE) on an optimized crystal structure of Gd2S3.

```
Gd2S3
1.0
10.769 0.000 0.000
0.000 3.924 0.000
0.000 0.000 10.559
Gd S
8 12
direct
0.009 0.250 0.186
0.191 0.250 0.505
0.309 0.750 0.005
0.491 0.750 0.686
0.509 0.250 0.314
0.691 0.250 0.995
0.809 0.750 0.495
0.991 0.750 0.814
0.047 0.750 0.373
0.120 0.250 0.944
0.228 0.750 0.697
0.272 0.250 0.197
0.380 0.750 0.444
0.453 0.250 0.873
0.547 0.750 0.127
0.620 0.250 0.556
0.728 0.750 0.803
0.772 0.250 0.303
0.880 0.750 0.056
0.953 0.250 0.627
```

## Properties
volume: 111.5 Å³/f.u.
ΔH_f (0 K): -2.381 eV per atom

***

2.
VASP calculation (PBE) on an optimized crystal structure of Gd2S3.

```
Gd2S3
1.0
-4.207 4.207 12.604
4.207 -4.207 12.604
4.207 4.207 -12.604
Gd S
16 24
direct
0.048 0.151 0.621
0.166 0.166 0.000
0.177 0.780 0.879
0.220 0.099 0.397
0.256 0.625 0.131
0.375 0.506 0.631
0.494 0.125 0.869
0.530 0.427 0.379
0.573 0.952 0.103
0.584 0.084 0.500
0.702 0.823 0.603
0.834 0.834 0.000
0.849 0.470 0.897
0.875 0.744 0.369
0.901 0.298 0.121
0.916 0.416 0.500
0.002 0.756 0.890
0.074 0.462 0.246
0.172 0.926 0.388
0.188 0.439 0.093
0.189 0.438 0.593
0.212 0.324 0.746
0.216 0.828 0.754
0.244 0.134 0.247
0.346 0.095 0.907
0.404 0.811 0.249
0.506 0.252 0.390
0.534 0.788 0.112
0.538 0.784 0.612
0.561 0.654 0.749
0.562 0.155 0.751
0.578 0.466 0.254
0.676 0.422 0.888
0.748 0.138 0.253
0.845 0.596 0.407
0.862 0.116 0.610
0.866 0.112 0.110
0.884 0.494 0.747
0.888 0.998 0.753
0.905 0.812 0.251